NEWS: The Thompsons received notification yesterday that they will be evicted on October 15. They ran a popular, profitable business, broke no laws, and received no infringement notices related to their stock numbers.
UPDATE #2: See below for the most useful thing you can do if you want to help them.
Here is a key point people have asked about in comments.
What about the community? How do the people of Narrogin feel — do they want the farm to stay?

The layout of the surrounds, the town, and various complainants. References to the watercourse and gully relate to the need for a license. (Can you see a waterway?)
Narrogin is a town of around 5,000 people. 900 people signed a petition in support and the two nearest neighbors want the feedlot to stay. They don’t just agree the feedlot should run at 10,000 head, they put their names to 15,000. People give Matt money in the street, the complainants live further away than some strong supporters, and the piggery was operating right next door for all those years. The Shire has written to the DEC urging them to allow the business to operate.
The petition
What comes next are calculated crystals, not part of the text:
'''
## NpAlVO6 (PBE+U)

Data for NpAlVO6 after structural relaxation.

Cell and atoms, written as extended XYZ:
```
18
Lattice="5.145 0.000 0.000 -2.573 4.456 0.000 0.000 0.000 8.887" Properties=species:S:1:pos:R:3 pbc="T T T"
Np 0.000 2.971 2.222
Np 2.573 1.485 6.665
Al 0.000 2.971 6.665
Al 2.573 1.485 2.222
V 0.000 0.000 0.000
V 0.000 0.000 4.444
O -0.781 1.546 5.610
O -1.625 3.006 7.721
O 0.781 1.546 7.721
O -0.843 4.360 5.610
O 1.729 0.096 1.166
O 0.948 1.450 3.277
O 1.625 3.006 5.610
O 0.843 4.360 7.721
O 3.416 0.096 3.277
O 1.791 2.910 1.166
O 4.197 1.450 1.166
O 3.354 2.910 3.277
```

Properties
**N(E_F)**: 0.01 states/eV per atom
**Magnetization**: 6.000 μB per cell
**VASP energy**: -8.510 eV per atom

=====

Here is Ac3Zn2CoO9 after structural relaxation from the Alexandria database. Energies are from GGA+U.

Calculated values
- Fermi-level density of states (states/eV per cell) = 4.093
- VASP energy (eV per atom) = -6.511

Lattice parameters (Å, degrees): 5.608 5.608 6.892 90.00 90.00 120.00
Last column: magnetic moment on the atom in μB.
Fractional coordinates of all 15 atoms:
Ac1 0.333 0.667 0.668  0.00
Ac2 0.000 0.000 0.000  0.00
Ac3 0.667 0.333 0.332  0.00
Zn1 0.333 0.667 0.170  0.02
Zn2 0.667 0.333 0.830  0.02
Co1 0.000 0.000 0.500  1.16
O1 0.840 0.160 0.659  -0.01
O2 0.840 0.680 0.659  -0.01
O3 0.320 0.160 0.659  -0.01
O4 0.680 0.840 0.341  -0.01
O5 0.160 0.320 0.341  -0.01
O6 0.160 0.840 0.341  -0.01
O7 0.500 0.000 0.000  0.09
O8 0.000 0.500 0.000  0.09
O9 0.500 0.500 0.000  0.09

***

Here is Ac3Zn2CoO8 after structural relaxation from the Alexandria database. Energies are from GGA+U.

Calculated values
- Fermi-level density of states (states/eV per cell) = 0.000
- VASP energy (eV per atom) = -6.502

Lattice parameters (Å, degrees): 5.588 5.588 7.260 90.00 90.00 120.00
Fractional coordinates of all 14 atoms:
Ac1 0.333 0.667 0.630
Ac2 0.667 0.333 0.370
Ac3 0.000 0.000 0.000
Zn1 0.333 0.667 0.197
Zn2 0.667 0.333 0.803
Co1 0.000 0.000 0.500
O1 0.333 0.667 0.944
O2 0.667 0.333 0.056
O3 0.157 0.843 0.331
O4 0.843 0.157 0.669
O5 0.157 0.314 0.331
O6 0.843 0.686 0.669
O7 0.686 0.843 0.331
O8 0.314 0.157 0.669

***

Here is Ac2ZnCo2O6 after structural relaxation from the Alexandria database. Energies are from GGA+U.

Calculated values
- Fermi-level density of states (states/eV per cell) = 6.128
- VASP energy (eV per atom) = -6.315

Lattice parameters (Å, degrees): 5.902 5.902 6.269 61.92 61.92 60.00
Last column: magnetic moment on the atom in μB.
Fractional coordinates of all 11 atoms:
Ac1 0.784 0.784 0.648  0.01
Ac2 0.216 0.216 0.352  0.01
Zn1 0.000 0.000 0.000  0.03
Co1 0.429 0.429 0.714  2.46
Co2 0.571 0.571 0.286  2.46
O1 0.757 0.757 0.271  0.13
O2 0.215 0.757 0.271  0.13
O3 0.757 0.215 0.271  0.13
O4 0.243 0.785 0.729  0.13
O5 0.785 0.243 0.729  0.13
O6 0.243 0.243 0.729  0.13

***

Here is Ac3ZnCo2O9 after structural relaxation from the Alexandria database. Energies are from GGA+U.

Calculated values
'''
In April 2007, when the feedlot was running at its peak with 10,000 cattle, 884 people signed a petition in support of The Thompsons:
We the undersigned residents of the Narrogin District hereby support Matt and Janet Thompson in their bid to complete their cattle feedlot development to a capacity of 14,490 head. We appreciate the benefits that this business brings to our community, and we believe the Thompsons will continue to make improvements which will minimize nuisance issues.
Matt tells us people in the street hand him $50 notes and tell him to keep fighting.
The local government authority which is the Shire (like a county) has supported us and appealed our license on our behalf on numerous occasions. Individuals have appealed on our behalf and signed petitions in large numbers. DEC does not consider positive comments or submissions. People in town have offered us their homes, their cars, and brought us food. Walking through the streets of town people have handed me fifty dollar notes and told me to keep fighting.
We do have our opponents locally but they are a very small group, and we have many many friends who have bent over backwards to help us in our time of distress.
== Between two parts of the piece: materials data ==
~~~
[1]
VASP calculation (PBE-GGA) on crystalline AgRhAu2 at its relaxed geometry.

Cell: 9.517 2.831 5.129 Å, 90.00 99.52 90.00°
Space group C2/m (No. 12)
One atom of each set of equivalent atoms:
1 Ag 0.000 0.000 0.000 (multiplicity 2)
2 Rh 0.000 0.500 0.500 (multiplicity 2)
3 Au 0.246 0.000 0.745 (multiplicity 4)

Summary:
Energy ... -4.04 eV per atom
N(E_F) ... 6.02 states/eV per cell

***

[2]
VASP calculation (PBE-GGA) on crystalline SrZr3Ga at its relaxed geometry.

Cell: 5.246 5.246 5.246 Å, 90.00 90.00 90.00°
Space group Pm-3m (No. 221)
One atom of each set of equivalent atoms:
1 Sr 0.000 0.000 0.000 (multiplicity 1)
2 Zr 0.000 0.500 0.500 (multiplicity 3)
3 Ga 0.500 0.500 0.500 (multiplicity 1)

Summary:
Energy ... -5.61 eV per atom
N(E_F) ... 6.73 states/eV per cell

***

[3]
VASP calculation (PBE-GGA) on crystalline ZnCr at its relaxed geometry.

Cell: 2.5935 2.5935 8.8866 Å, 90.00 90.00 120.00°
Space group P-3m1 (No. 164)
One atom of each set of equivalent atoms:
1 Zn 0.3333 0.6667 0.3694 (multiplicity 2)
2 Cr 0.3333 0.6667 0.8805 (multiplicity 2)

Summary:
Energy ... -5.19 eV per atom
N(E_F) ... 4.86 states/eV per cell

***

[4]
VASP calculation (PBE-GGA) on crystalline MnW2Br8 at its relaxed geometry.

Cell: 10.753 10.891 6.643 Å, 90.00 107.27 90.00°
Space group C2/m (No. 12)
One atom of each set of equivalent atoms:
1 Mn 0.000 0.000 0.000 (multiplicity 2)
2 W 0.108 0.000 0.614 (multiplicity 4)
3 Br 0.080 0.188 0.805 (multiplicity 8)
4 Br 0.147 0.500 0.141 (multiplicity 4)
5 Br 0.219 0.000 0.330 (multiplicity 4)

Summary:
E_form (uncorrected) ... -0.271 eV per atom
Energy ... -4.68 eV per atom
N(E_F) ... 6.02 states/eV per cell

***

[5]
VASP calculation (PBE-GGA) on crystalline BeReAg4 at its relaxed geometry.

Cell: 7.520 7.520 7.520 Å, 90.00 90.00 90.00°
Space group F-43m (No. 216)
One atom of each set of equivalent atoms:
1 Be 0.000 0.000 0.000 (multiplicity 4)
2 Re 0.250 0.250 0.750 (multiplicity 4)
3 Ag 0.125 0.125 0.375 (multiplicity 16)

Summary:
Energy ... -3.56 eV per atom
N(E_F) ... 8.95 states/eV per cell

***

[6]
VASP calculation (PBE-GGA) on crystalline FePdCl4 at its relaxed geometry.

Cell: 7.324 7.324 6.315 Å, 90.00 90.00 90.00°
Space group I-4 (No. 82)
One atom of each set of equivalent atoms:
1 Fe 0.000 0.000 0.000 (multiplicity 2)
2 Pd 0.000 0.500 0.250 (multiplicity 2)
3 Cl 0.132 0.203 0.218 (multiplicity 8)

Summary:
E_form (uncorrected) ... -0.593 eV per atom
Energy ... -4.10 eV per atom
N(E_F) ... 1.09 states/eV per cell

***

[7]
VASP calculation (PBE-GGA) on crystalline ReSn at its relaxed geometry.

Cell: 9.764 9.764 3.948 Å, 90.00 90.00 90.00°
Space group P4/m (No. 83)
One atom of each set of equivalent atoms:
1 Re 0.057 0.381 0.000 (multiplicity 4)
2 Re 0.109 0.585 0.500 (multiplicity 4)
3 Sn 0.139 0.806 0.000 (multiplicity 4)
4 Sn 0.286 0.368 0.500 (multiplicity 4)

Summary:
Energy ... -7.73 eV per atom
N(E_F) ... 10.18 states/eV per cell

***

[8]
~~~
Both of their two nearest neighbors want them to stay and increase their cattle numbers:
To whom it may concern,
As a close neighbour I would like to register my support for the continuation of
Narrogin Beef Producers and encourage the authorities to allow them to complete
their project up to 15,000 head as originally approved.
My property is immediately west of the feedlot and I have lived here for 4 years.
There are occasionally odours from the feedlot but seldom more than I would
consider normal for a rural area.
I have benefited from organic fertilizer from the feedlot and deem it to be a good
product that has helped me manage my small farm in a responsible and more efficient manner.
It is good to have this enterprise in our local area. The Thompsons employ local
people and they are active participants in the Narrogin area. The economic impact of this business is substantial with local farmers being able to sell their products.
I don’t think that this economic benefit has compromised the environment in any real way, and I hope the Thompsons are able to stay in business as I know that they have been significantly affected by not being able to operate at full capacity.
Yours sincerely,
I wish to record our support for the Narrogin Beef Feedlot. Our farm of 250 hectares is situated next door…
For the past four years we have been recycling manure from the feedlot on our crops and pasture with very good results. This fits in well with our farming policy of not using chemicals whever possible.
I realise there have been problems of odours from the feedlot in the past, however we have not been unduly affected and especially for the last 12-18 months have rarely noticed any odour.
We think of Matt and Janet as good neighbours, and have always found them civil and helpful people to deal with.
Our hope is that the feedlot will operate in the future as a sound and profitable business.
The Shire says it would be a tremendous loss if the business is lost
Shire president Richard Chadwick wrote to the DEC urging it to sort out the license issues as quickly as possible.
…the DEC did not have sufficient justification for the forced destocking to 6,000 head. The license must allow for the keeping of up to 10,000 head.
Any delay will surely see the demise of this business which will be a tremendous loss to our community.
There is a very real fear that this business may not survive this current situation and will be lost to our community.
The Local Community Consultation Committee (LCCC) approves.
It was chaired by none other than Barry Carbon, who I believe wrote the 1986 EPA legislation.
… the Chair of the LCCC recommended approval be given for the feedlot to operate at 10,000 head.
In a letter from the Chairman of the LCCC to the Director General of the DEC dated 13 May 2009, it was stated that “comparison here has a large number of observations taken over a long time, and the improvement from this year to last is obvious.”
The evidence shows most days there is no odour detectable in the town.
The complaints don’t correlate with stock numbers on the feedlot, and over 6,000 recordings were taken in the town. See my post on the empirical evidence.
Could it be about money and not the environment?
The local real estate agent points out that land values in the area are rising just like everywhere else and there is no evidence the feedlot has affected land prices.
Some of the complainants have applied to get their property rezoned so they can subdivide and sell. They live further north from the Thompson’s farm than the Furnesses do. The smells of the farm apparently jump right over the Furnesses farm…
Here’s one vocal complainant asking for rezoning – see page 13. Point 59. The Gows bought the property in 1995, close to the piggery that has been next to the Thompson’s and has been operating for 28 years.
An application has been received from Mr & Mrs Peter & Karren Gow requesting Council to support the rezoning of Lot 2 Katta Road, Narrogin from ‘Farming’ to ‘Special Rural’ in the proposed new Town Planning Scheme.
[Unrelated to this entry: data records]
********
(1)
Entry from Alexandria: Dy6TlIn5 after structural relaxation (PBE).

Cell lengths 9.951, 6.406, 6.391 Å; angles 59.92, 83.91, 77.77 degrees
Atoms (fractional coordinates):
1 Dy 0.749 0.084 0.334
2 Dy 0.251 0.582 0.334
3 Dy 0.250 0.252 0.000
4 Dy 0.750 0.748 0.000
5 Dy 0.749 0.418 0.666
6 Dy 0.251 0.916 0.666
7 Tl 0.000 0.000 0.000
8 In 0.500 0.166 0.668
9 In 0.000 0.333 0.334
10 In 0.500 0.500 0.000
11 In 0.000 0.667 0.666
12 In 0.500 0.834 0.332

Computed properties:
Energy above the lowest structure with this stoichiometry ... 0.126 eV/atom
Space-group type ... No. 12

***

(2)
Entry from Alexandria: Dy6TlIn after structural relaxation (PBE).

Cell lengths 4.845, 4.845, 9.693 Å; angles 90.00, 90.00, 90.00 degrees
Atoms (fractional coordinates):
1 Dy 0.500 0.500 0.000
2 Dy 0.500 0.500 0.500
3 Dy 0.500 0.000 0.252
4 Dy 0.500 0.000 0.748
5 Dy 0.000 0.500 0.252
6 Dy 0.000 0.500 0.748
7 Tl 0.000 0.000 0.000
8 In 0.000 0.000 0.500

Computed properties:
Space-group type ... No. 123

***

(3)
Entry from Alexandria: Dy4Tl2In after structural relaxation (PBE).

Cell lengths 5.259, 5.259, 9.148 Å; angles 73.29, 73.29, 60.00 degrees
Atoms (fractional coordinates):
1 Tl 0.753 0.753 0.741
2 Tl 0.247 0.247 0.259
3 In 0.000 0.000 0.000
4 Dy 0.873 0.873 0.380
5 Dy 0.127 0.127 0.620
6 Dy 0.621 0.621 0.137
7 Dy 0.379 0.379 0.863

Computed properties:
Energy above the lowest structure with this stoichiometry ... 0.000 eV/atom
Space-group type ... No. 166

***

(4)
Entry from Alexandria: Dy2Tl5In after structural relaxation (PBE).

Cell lengths 4.718, 6.725, 13.445 Å; angles 90.00, 90.00, 90.00 degrees
Atoms (fractional coordinates):
1 Dy 0.500 0.254 0.375
2 Dy 0.500 0.746 0.625
3 Dy 0.500 0.246 0.875
4 Dy 0.500 0.754 0.125
5 Tl 0.500 0.257 0.124
6 Tl 0.500 0.743 0.876
7 Tl 0.500 0.757 0.376
8 Tl 0.500 0.243 0.624
9 Tl 0.000 0.994 0.749
10 Tl 0.000 0.006 0.251
11 Tl 0.000 0.494 0.751
12 Tl 0.000 0.506 0.249
13 Tl 0.000 0.500 0.500
14 Tl 0.000 0.000 0.000
15 In 0.000 0.000 0.500
16 In 0.000 0.500 0.000

Computed properties:
Space-group type ... No. 55

***

(5)
Entry from Alexandria: Dy8Tl2In after structural relaxation (PBE).

Cell lengths 5.537, 8.642, 8.642 Å; angles 118.45, 101.70, 101.70 degrees
Atoms (fractional coordinates):
1 Dy 0.885 0.903 0.675
2 Dy 0.885 0.675 0.903
3 Dy 0.300 0.602 0.602
4 Dy 0.500 0.783 0.217
5 Dy 0.500 0.217 0.783
6 Dy 0.700 0.398 0.398
7 Dy 0.115 0.325 0.097
8 Dy 0.115 0.097 0.325
9 Tl 0.000 0.305 0.695
10 Tl 0.000 0.695 0.305
11 In 0.500 0.000 0.000

Computed properties:
Energy above the lowest structure with this stoichiometry ... 0.114 eV/atom
Space-group type ... No. 12

***

(6)
Entry from Alexandria: Dy5TlIn3 after structural relaxation (PBE).

Cell lengths 6.660, 9.323, 9.323 Å; angles 120.00, 90.00, 90.00 degrees
Atoms (fractional coordinates):
1 Dy 0.000 0.667 0.333
2 Dy 0.500 0.333 0.667
3 Dy 0.000 0.333 0.667
4 Dy 0.500 0.667 0.333
5 Dy 0.750 0.708 0.708
6 Dy 0.750 0.000 0.292
7 Dy 0.750 0.292 0.000
********
[So much for the data records]
The comments are open here (and on all the threads) and dissent seems to be limited to a small group of vocal complainants.
I’ve put together a one page central spot for links to all posts and info.
See the Thompsons.
I’ve almost finished the documentation on the Thompson’s story. As a case-study of what we might all face if the powers of government continue to rise unchecked, their story begs to be told. Information is our friend, hence my aim is to make the facts available. (I don’t quite know why it’s me that seems to be telling it.)
Where are the young idealist lawyers who want to carve a name for themselves?
Where are the legal action blogs?
UPDATE #2: There is a Meeting with Bank CEO next Wednesday
John CA writes from a note on WUWT
There is a small glimmer of positive news. A few politicians have come on board to advocate for the Thompson’s cause and to try to mediate with the NAB (National Australia Bank). This coming Wednesday (September 28), a meeting has been arranged between this group of Politicians & Cameron Clyne the CEO of NAB.
Matt & Janet appeal to you not to get into a bank bashing frame of mind. This whole sorry saga has been caused by environmental extremists and more specifically the DEC.
Matt believes that he owes the NAB the balance of the loan. Narrogin Beef Producers can repay this loan if they are allowed to operate the facilities at full capacity and without ridiculous arbitrary compliance clauses imposed upon them that no one else has to meet.
Matt & Janet appeal to the NAB to support them against the DEC so they can be productive members of the community & pay back their creditors.
Matt & Janet need your help to send to the CEO of NAB a simple and polite message:
• Please remove the receiver
• Talk to the Thompson’s mediators,
• Give back all the files
• Support Narrogin Beef Producers in their legal case
Phone NAB head office 1300 889 398
Also please contact all main stream media
John’s thoughts are wise:
Just a thought, if you’d like to help the Thompsons by contacting Mr. Cameron (CEO of National Australia Bank) — consider a single petition signed by as many as possible in the Town and Narrogin Shire. There are only about 4,500 people minus children so this shouldn’t be difficult.
The petition should be formal, business like, and NOT inflammatory or it wouldn’t be taken seriously.
DEC doesn’t consider the support of the community to be of merit but Mr. Cameron (CEO of National Australia Bank) does and will take the petition very seriously.